No. 1
# LiTaN
Simulated X-ray powder pattern, copper Kα. Input: a structure optimized by DFT (GGA-PBE).
Lines closer than 0.1° are merged.

Main lines, by angle (2θ = 15–90°):
(hkl)  two_theta  Rel. int.
0 1 1  31.28  77.9
0 0 3  33.50  42.7
1 0 1  34.25  44.8
1 0 -2  34.36  45.4
0 1 2  36.94  78.8
1 1 0  42.61  100.0
1 1 3  58.95  25.1
1 1 -4  59.11  25.0

Cell lengths 2.9960, 3.0599, 8.1593 Å; angles 90.00, 100.38, 90.00 degrees
Space group Pm (No. 6)
Inequivalent atoms, fractional coordinates:
Li1 0.0000 0.0000 0.0000
Li2 0.4136 0.5000 0.8150
Ta1 0.1505 0.5000 0.2753
Ta2 0.7861 0.0000 0.5540
N1 0.2903 0.5000 0.5622
N2 0.5654 0.5000 0.1041



No. 2
# Ce2Pm5Pt4
Simulated X-ray powder pattern, copper Kα. Input: a structure optimized by DFT (GGA-PBE).
Lines closer than 0.1° are merged.

Main lines, by angle (2θ = 15–90°):
(hkl)  two_theta  Rel. int.
1 1 0  23.57  35.9
3 1 1  28.98  100.0
8 0 -1  31.21  69.6
6 0 2  34.41  28.7
1 1 2  35.22  78.6
5 1 -2  39.03  27.9
9 1 1  42.96  64.5
0 2 0  47.61  37.1

Cell lengths 24.7503, 3.8196, 6.9507 Å; angles 90.00, 92.23, 90.00 degrees
Space group C2/m (No. 12)
Inequivalent atoms, fractional coordinates:
Ce1 0.0895 0.0000 0.1523
Pm1 0.0000 0.5000 0.5000
Pm2 0.1348 0.0000 0.6746
Pm3 0.2314 0.0000 0.2325
Pt1 0.0255 0.0000 0.8040
Pt2 0.1689 0.5000 0.9846



No. 3
# La6SiPd2Br3
Simulated X-ray powder pattern, copper Kα. Input: a structure optimized by DFT (GGA-PBE).
Lines closer than 0.1° are merged.

Main lines, by angle (2θ = 15–90°):
(hkl)  two_theta  Rel. int.
2 0 0  25.04  8.6
1 3 1  28.74  100.0
2 0 2  40.54  34.8
3 3 -1  41.64  37.6
2 6 -2  51.33  13.1
4 0 0  51.50  8.6
2 6 2  59.51  11.1
4 6 0  68.23  11.0

Cell lengths 7.5031, 13.0332, 7.7826 Å; angles 90.00, 108.85, 90.00 degrees
Space group C2/m (No. 12)
Inequivalent atoms, fractional coordinates:
La1 0.2407 0.0000 0.2206
La2 0.2407 0.3336 0.2207
Si1 0.0000 0.5000 0.0000
Pd1 0.0000 0.1672 0.0000
Br1 0.0000 0.0000 0.5000
Br2 0.0000 0.3376 0.5000



No. 4
# Mg5Si9
Simulated X-ray powder pattern, copper Kα. Input: a structure optimized by DFT (GGA-PBE).
Lines closer than 0.1° are merged.

Main lines, by angle (2θ = 15–90°):
(hkl)  two_theta  Rel. int.
-1 2 2  30.28  47.4
1 -2 3  33.51  46.0
0 2 2  34.73  61.3
2 1 -2  36.59  57.6
-3 2 1  37.16  72.6
2 -2 3  38.64  100.0
2 1 -3  39.51  56.8
0 3 -2  42.05  58.8

Cell lengths 7.4864, 7.4907, 10.9365 Å; angles 94.72, 98.81, 117.89 degrees
Space group P1 (No. 1)
Inequivalent atoms, fractional coordinates:
Mg1 0.0000 0.0000 0.0000
Mg2 0.0039 0.2346 0.3584
Mg3 0.1286 0.6578 0.9490
Mg4 0.1399 0.8691 0.2420
Mg5 0.2381 0.9615 0.7636
Mg6 0.3869 0.1485 0.5456
Mg7 0.4046 0.5856 0.7644
Mg8 0.6700 0.0004 0.7049
Mg9 0.7240 0.4549 0.1866
Mg10 0.9365 0.4528 0.6393
Si1 0.0370 0.1324 0.6042
Si2 0.0556 0.4462 0.1451
Si3 0.0785 0.2768 0.8210
Si4 0.2872 0.7312 0.5629
Si5 0.3884 0.3463 0.3090
Si6 0.3895 0.3084 0.9535
Si7 0.3982 0.5232 0.1290
Si8 0.4042 0.0607 0.0832
Si9 0.4915 0.6839 0.4317
Si10 0.5527 0.9517 0.3006
Si11 0.5568 0.9082 0.9594
Si12 0.6179 0.3503 0.8068
Si13 0.6737 0.2974 0.4109
Si14 0.7118 0.8447 0.1541
Si15 0.8122 0.7685 0.5676
Si16 0.8236 0.2508 0.9479
Si17 0.8273 0.7015 0.7819
Si18 0.9704 0.6607 0.4273



No. 5
# KPm3Ho2Te6
Simulated X-ray powder pattern, copper Kα. Input: a structure optimized by DFT (GGA-PBE).
Lines closer than 0.1° are merged.

Main lines, by angle (2θ = 15–90°):
(hkl)  two_theta  Rel. int.
1 1 -2  28.18  100.0
2 0 -4  39.76  13.2
7 1 -2  40.22  25.4
5 1 2  40.34  23.7
0 2 0  40.77  12.6
6 2 0  50.31  13.5
2 2 -4  58.27  12.1
8 2 -4  65.88  11.1

Cell lengths 19.5469, 4.4265, 9.0675 Å; angles 90.00, 103.66, 90.00 degrees
Space group C2/m (No. 12)
Inequivalent atoms, fractional coordinates:
K1 0.0000 0.0000 0.0000
Pm1 0.0000 0.0000 0.5000
Pm2 0.1578 0.5000 0.8164
Ho1 0.1665 0.5000 0.3396
Te1 0.0068 0.5000 0.2613
Te2 0.1691 0.0000 0.5757
Te3 0.1745 0.0000 0.0920



No. 6
# Pm5Co2Sb
Simulated X-ray powder pattern, copper Kα. Input: a structure optimized by DFT (GGA-PBE).
Search the listing further up for the word "Mg7" and return each line that has it.
Mg7 0.4046 0.5856 0.7644